-- Listing --
=====
# 1
The following is a quantum chemistry calculation of a cluster of 3 separate species, C3H13NO2S in total at a distorted geometry, from the Open Molecules 2025 dataset.

E_HOMO (alpha / beta) = 0.98 / -5.52 eV
frontier orbital gap (alpha / beta) = 1.73 / 8.14 eV
ΔE to the lowest compared entry with this formula, charge and spin = 236.0 kJ/mol
spin multiplicity = 2
M = 127.21 g mol⁻¹
charge = -1
LUMO energy (alpha / beta) = 2.71 / 2.62 eV
<S²> = 0.75

The geometry in XYZ format:
```
20
Properties=species:S:1:pos:R:3:lowdin_charge:R:1
S 1.98 0.86 -0.45 0.280
O 4.13 -2.74 -2.88 -0.289
O -3.60 1.29 -1.42 -0.124
N -0.33 -1.09 0.10 -0.040
C -1.61 0.34 1.57 -0.099
C 0.71 1.08 0.92 -0.561
C -0.20 -0.08 1.19 -0.569
H -4.59 1.53 -1.18 0.101
H -2.38 -0.27 1.03 0.079
H -0.67 -0.69 -0.78 0.062
H 4.86 -3.37 -2.66 -0.014
H 0.08 1.88 0.54 0.046
H 1.43 1.54 1.74 0.090
H 0.34 -0.70 2.08 0.148
H 4.40 -1.92 -2.34 -0.015
H -3.29 1.08 -0.55 -0.034
H -1.87 1.33 1.76 0.031
H 1.68 1.66 -1.43 -0.240
H -1.56 0.02 2.64 0.076
H 0.50 -1.76 0.11 0.073
```

# 2
The following is a quantum chemistry calculation of a cluster of 3 separate species, C3H13NO2S in total at a distorted geometry, from the Open Molecules 2025 dataset.

E_HOMO = -9.16 eV
frontier orbital gap = 9.65 eV
ΔE to the lowest compared entry with this formula, charge and spin = 92.9 kJ/mol
spin multiplicity = 1
M = 127.21 g mol⁻¹
structure (SMILES) = CNCCS.O.O
charge = 0
LUMO energy = 0.49 eV

The geometry in XYZ format:
```
20
Properties=species:S:1:pos:R:3:lowdin_charge:R:1
S 0.37 -2.26 2.62 0.701
O 0.86 -1.82 -3.77 -0.056
O 1.03 3.24 1.01 -0.083
N -0.44 1.05 0.45 -0.173
C -0.67 0.03 1.46 -0.293
C -0.75 0.65 -0.91 -0.116
C 0.22 -1.18 1.17 -0.576
H -0.40 0.40 2.45 0.107
H -0.61 1.55 -1.53 0.087
H 0.06 0.02 -1.26 0.066
H 0.74 2.51 0.45 -0.013
H -0.09 -3.41 2.11 -0.163
H 0.19 -1.97 -3.10 0.022
H -0.05 -1.84 0.34 0.059
H 0.59 -1.19 -4.43 0.033
H -0.83 1.92 0.76 0.098
H 1.20 -0.83 0.87 0.071
H 1.99 3.31 0.93 0.034
H -1.72 0.17 -1.07 0.085
H -1.70 -0.35 1.45 0.113
```

# 3
The following is a quantum chemistry calculation of a cluster of 3 separate species, C3H13NO3 in total at a distorted geometry, from the Open Molecules 2025 dataset.

E_HOMO = -9.10 eV
frontier orbital gap = 9.85 eV
ΔE to the lowest compared entry with this formula, charge and spin = 67.6 kJ/mol
spin multiplicity = 1
M = 111.14 g mol⁻¹
structure (SMILES) = C[C@H](O)CN.O.O
charge = 0
LUMO energy = 0.75 eV

The geometry in XYZ format:
```
20
Properties=species:S:1:pos:R:3:lowdin_charge:R:1
O 0.26 0.18 -2.55 -0.055
O -0.14 -3.12 4.43 -0.057
O 1.71 -1.55 1.38 -0.065
N -0.72 -0.60 -0.19 0.004
C -0.72 0.84 -0.41 -0.228
C -0.29 2.48 -2.31 -0.055
C 0.19 1.22 -1.60 -0.457
H 0.00 -2.87 5.35 0.030
H -0.49 3.27 -1.58 0.084
H -0.65 -0.88 0.77 0.058
H 2.00 -1.62 0.47 0.032
H 2.49 -1.55 1.95 0.034
H 0.49 2.84 -2.96 0.071
H 0.36 -0.62 -2.01 0.065
H -1.19 2.22 -2.87 0.085
H -1.36 -1.05 -0.81 0.075
H -1.07 -3.14 4.21 0.028
H -1.73 1.23 -0.55 0.108
H 1.19 1.42 -1.18 0.132
H -0.31 1.32 0.46 0.111
```

Number 1 is which compound? C3H13NO2S

What is the charge in the first record? -1

Number 3 is which compound? C3H13NO3

=====

Record 1
Here is C9H28CrN4O5 as an isolated structure at a distorted geometry from OMol25. Energies are from ωB97M-V with the def2-TZVPD basis set.

Values from the calculation:
E_HOMO (spin up / spin down) (eV): -20.08 / -20.04
LUMO energy (spin up / spin down) (eV): -13.017 / -12.931
Frontier orbital gap (spin up / spin down) (eV): 7.1 / 7.1
DFT total energy (eV): -54369.701

The geometry in ORCA input format:
```
! wB97M-V def2-TZVPD RIJCOSX def2/J DEFGRID3
* xyz 3 4
Cr 0.0202 -1.0106 0.0106
C -1.4648 -3.1716 -1.3060
O -0.1822 -2.6634 -1.1877
H -1.2673 -4.2345 -1.4475
H -1.9294 -2.7330 -2.1840
H -2.1369 -3.0252 -0.4198
H 0.3853 -3.1748 -1.8213
C -2.9075 0.3599 -0.3500
O -1.7968 -0.5410 -0.5670
N -3.1166 1.2283 -1.3060
N -3.5112 0.5004 0.7674
H -2.7910 1.0586 -2.2861
H -3.7473 2.0903 -1.2482
H -3.3038 -0.1832 1.5617
=====

-- Activity --
Could you work out how many lines further above have the word "Values" in them; a number is enough?

-- Response --
1